Wednesday, December 18, 2013

Christmas Outings

We took a family outing last night and went downtown SLC to check out the decorations at the Grand America hotel.  None of us had ever been to the Grand America and we were definitely impressed with how "grand" it was.
They had all of the shop windows decorated with elves and parts of Santa's workshop.  They had handouts with a quiz about the windows on them.  If you went through and answered all the questions you got a candy at the end.  They also had a huge, over 6 feet tall, gingerbread house.  The kids loved it.

Afterward we rode the train down to the City Creek shopping area and had diner.  The kids love riding the train.  They think that it is an adventure.

We finally got home around 9 pm and put the kids to bed.  It was cold, but it was worth it.  :-)

Tuesday, December 10, 2013

Grandma's Christmas Tree

A couple of weekends ago Grandma Rhonda put up the kids Christmas tree in her basement.  She always lets the kids helps her decorate it.  Will helped for a bit, but then went off to play.  Lilly stayed through most of it.
Lilly got her stool from the bathroom and put it next to the tree so that she could get to the higher branches.  She would go pick an ornament from the table and then climb onto her stool to place it on a branch.  Pretty soon there was a small area right at her eye level that was covered with ornaments, but not much anywhere else on the tree!  We evened it out for her after she went to bed.  :-)

Monday, November 11, 2013

Fall Leaves

Last Saturday we were working on cleaning up the front yard.  Paul had raked the leaves into a pile and, of course, Lilly wanted to play in it.  Will was over playing at a friends house or he would have been in on it, too.


Monday, November 4, 2013

Halloween 2013

We made our annual trip to the Gardner Village Witch Festival a couple of weekends ago.  The kids got to wear their costumes, but Will didn't get to wear his face paint.

They started to get really tired of us taking pictures of them after a while.  :-)

They had a small petting zoo set up with some farm animals.  Grandma helped Lilly and Will feed the animals.

Will always looks forward to the pony ride.  This was the first year that Lilly was big enough to go, too.  She loved it!  She is slightly obsessed with horses.

Before we left the kids got to hold the bunny.  Will did good but Lilly needed some help from Daddy.  She couldn't keep the bunny from sliding off of her lap.

On Halloween Grandma Rhonda and Grandpa Bob came over early to help me get the kids ready.  After we got Will's make-up on he looked really spooky.  He decided it was better not to smile so that he would look scary.

Paul and the kids went trick-or-treating with a group of neighborhood kids and other parents.  Lilly made it around about 2 streets before she decided that she was done.  Will went through most of our neighborhood.

I stayed behind and handed out candy at our house.  We went through everything that I had bought by 7:45 pm, so we shut off the lights, but there were people still going around our neighborhood until almost 9:30 pm.  By then the kids were washed and in bed, and Paul and I were in PJ's watching TV.  I know... we're a wild bunch at the Grover house! 

Wednesday, August 28, 2013

• Records of molecules, kept here for reference:
____________
23
Properties=species:S:1:pos:R:3:forces:R:3:mulliken_charge:R:1 method="wB97M-V/def2-TZVPD" smiles="C=CCC#C[C@@]12NC(=O)N[C@]1(C)O2" homo_ha=-0.3484 e_lumo_ev=0.64 gap_ev=10.12 e_above_lowest_kj_mol=411.38 total_charge=0
C -0.409774 1.306617 4.211317 -0.75 -0.19 -0.07 -0.679
C -0.156452 2.066992 3.144896 2.53 -0.45 0.66 -0.053
C -1.021912 2.164868 1.959928 1.64 2.01 -0.93 -0.751
C -0.766005 1.174346 0.942172 0.04 0.55 -0.45 0.864
C -0.597865 0.565072 -0.073170 1.25 -2.12 -1.23 -1.077
C -0.367873 -0.504684 -1.086457 0.42 0.65 -0.08 0.702
N -1.213439 -0.406151 -2.225041 2.37 -2.61 -0.14 -0.118
C -0.776593 -1.186170 -3.289140 0.93 0.93 1.31 0.122
O -1.208414 -1.252775 -4.392868 -1.24 -0.24 -1.15 -0.596
N 0.399003 -1.807601 -2.875669 -0.06 2.53 0.92 -0.209
C 0.765676 -1.440410 -1.538436 0.68 1.27 -0.45 0.929
C 2.277925 -1.502128 -1.272398 -1.44 2.75 0.81 -1.253
O -0.153593 -1.813339 -0.582072 -1.30 -0.94 1.24 -0.537
H 0.264709 1.090339 5.048920 -0.15 0.47 -0.51 0.261
H -1.402426 0.793979 4.281245 0.90 0.45 -0.12 0.207
H 0.808855 2.596621 2.929745 -0.63 -0.72 1.00 0.244
H -1.973968 2.008687 2.353066 -2.22 0.51 -0.05 0.373
H -0.720336 3.203949 1.493130 -1.59 -1.76 0.72 0.247
H -1.944548 0.181747 -2.326217 -2.65 2.19 -0.15 0.105
H 0.416353 -2.729532 -3.132397 0.58 -2.73 -0.81 0.219
H 2.595005 -0.465304 -0.812248 -0.19 -2.12 -1.24 0.283
H 2.720989 -1.795486 -2.205490 0.63 0.44 -0.28 0.371
H 2.464685 -2.249638 -0.552818 0.26 -0.88 0.98 0.346


25
Properties=species:S:1:pos:R:3:forces:R:3:mulliken_charge:R:1 method="wB97M-V/def2-TZVPD" smiles="NC(=O)[C@@](CS)(c1ccccc1)[N+](=O)[O-]" homo_ha=-0.3415 e_lumo_ev=-0.26 gap_ev=9.04 e_above_lowest_kj_mol=345.82 total_charge=0
N -2.196584 -0.666645 2.035140 -0.53 0.58 -0.51 -0.388
C -1.445740 0.251642 1.271766 -1.73 -2.29 -0.03 0.075
O -1.269989 1.375255 1.661879 0.27 0.24 -0.36 -0.569
C -0.938325 -0.202552 -0.160697 -0.27 2.00 -0.46 0.977
C -1.873041 0.879040 -1.284551 3.01 -1.12 2.97 -1.091
S -1.258765 2.518989 -1.355330 0.52 0.37 -1.75 -0.147
C 0.588672 -0.179846 -0.165452 0.60 2.47 0.78 0.296
C 1.211686 -0.410262 1.072354 1.05 -1.67 -0.45 -0.086
C 2.624007 -0.313354 1.225951 -0.16 -0.58 -3.81 -0.936
C 3.361555 -0.082219 -0.020666 -0.95 0.13 2.37 -0.210
C 2.697829 0.301096 -1.196392 4.60 -0.36 0.77 -0.733
C 1.370307 0.355124 -1.205457 -3.15 0.08 -0.98 -0.242
N -1.242602 -1.560535 -0.699228 -0.91 0.47 -0.65 1.115
O -1.941484 -2.333967 -0.071176 0.34 -0.40 -0.42 -0.735
O -0.815337 -1.721007 -1.828775 -0.34 -0.74 0.63 -0.560
H -2.495617 -1.580668 1.660090 0.60 1.09 -0.03 0.273
H -2.922466 -0.209728 2.608102 0.98 -0.29 -0.20 0.263
H -2.855636 0.854245 -0.932072 -1.51 -0.32 0.54 0.497
H -1.751490 0.453017 -2.224066 0.08 -0.87 -1.60 0.487
H -1.432253 2.812029 -0.117885 -0.27 0.39 1.67 0.136
H 0.641162 -1.035993 1.775014 0.21 0.96 0.35 0.342
H 3.130248 -0.714063 2.085260 0.03 0.27 0.32 0.351
H 4.454242 -0.139178 -0.057289 -0.41 -0.01 0.32 0.353
H 3.453830 0.526646 -2.009815 -1.76 0.02 0.53 0.289
____________

William's First Day of Kindergarten

William started Kindergarten today.  He was so excited!  We got there early so that he could see where everything was and play on the playground for a bit.

When the bell rang all of the kids lined up and followed their teachers into the classrooms.  I had a hard time not following him in, but I know that he is ready for this and doesn't need his mommy shadowing him.
We've enrolled him in an after school program called KinderKamp at the rec center near our house.  They will pick him up after class and take him to the rec center to play, have swimming lessons, learn zumba and yoga, and generally keep him busy.
I expect it will be an early bed night tonight.

Tuesday, August 6, 2013

Summer Fun

We've been having a lot of fun over the last couple of weeks.  We've been trying to keep busy and get as much enjoyment out of the last weeks of summer as we can, except for a bit of trouble with a summer cold that we've been passing around.
When all of the back to school sales started showing up at the stores I decided to buy the kids some new crayons to replace the ones that were getting used up.  Since I didn't want to waste what was left of the old bits we decided to make some new "rainbow" crayons with them.  After a trip to the thrift store we had a couple of fun muffin tins and some extra colors to add.  Paul took all of the wrappers off and we broke them into smaller pieces.  We mixed and matched the colors to make fun combinations and then I baked them in the oven at a low temp until they melted.  After a night in the freezer to harden they were ready to use.  Lilly really likes these "new" crayons because they make great variegated shades when you use them.

I told the other children's church leader about making the crayons, since I knew that her class had a big bucket of old crayons, and we came up with an idea to make themed rainbow crayons for the kids at church.  We've been keeping a look out at the other thrift stores for more themed muffin tins so that we can make different shapes for the seasons and then give them to the kids as gifts.  I'd really love to find some hearts for Valentines or some leaves for Fall.

We also bought a wading pool at one of the end of summer sales.  The kids have been having a ton of fun splashing around in it.


Thursday, July 18, 2013

Making Pancakes

Lilly decided that she wanted to help me make pancakes for dinner the other night.  So, we pulled up a stool, put on her apron, and gave her something to stir.  She did a very good job.

Thursday, July 11, 2013

July 4th

We had a great time celebrating Independence Day this year.  We went over to Grandma and Grandpa's house early enough for the kids to spend some time playing on their slip-n-slide.  Grandpa even got in on the fun.

It soon got too hot to be outdoors so we spent the afternoon playing with toys in the basement.
After dinner we took the kids to the splash pad in the nearby local park.  They had a bunch of fun running around in the water and catching the parachute fireworks that Grandpa was setting off.

When we got back to the house the kids got into their PJ's and we decided to set off more fireworks.  Since the kids can't stay up too late we started while the sun was just setting.